Tenants, landlords and mortgage holders grapple with promises of deferred payments
Calgary rental association urges renters to work out a payment plan with landlord

Unrelated to this text: molecular data.
********
Record 1
Density functional theory data (the ωB97M-V functional and the def2-TZVPD basis) for a molecular structure, C35H43ClCrP2Si2 in a non-equilibrium geometry.

Results
F_max (eV/A): 1.4
Spin multiplicity: 4
Charge: +1

Geometry as XYZ:
```
84
C35H43ClCrP2Si2 | OMol25 | the ωB97M-V functional and the def2-TZVPD basis
C 0.996 -1.684 1.476
C 1.812 -1.522 0.301
C 2.279 -0.157 0.272
H 2.105 -2.314 -0.395
C 1.769 0.512 1.442
C 0.974 -0.433 2.177
H 0.541 -0.272 3.165
H 0.582 -2.623 1.845
H 2.975 0.269 -0.458
H 2.037 1.518 1.772
Cr 0.105 -0.118 0.162
Si 0.039 5.610 -4.548
C 0.062 5.334 -6.406
C -0.535 6.207 -7.334
H -1.168 7.026 -6.982
C -0.309 6.038 -8.705
H -0.756 6.732 -9.424
C 0.498 4.993 -9.175
H 0.652 4.849 -10.246
C 1.090 4.111 -8.260
H 1.724 3.293 -8.614
C 0.875 4.284 -6.882
H 1.353 3.591 -6.177
C 0.898 7.264 -4.365
C 2.002 7.520 -5.204
H 2.198 6.886 -6.070
C 2.913 8.544 -4.904
H 3.809 8.696 -5.513
C 2.727 9.341 -3.771
H 3.471 10.093 -3.473
C 1.563 9.170 -2.999
H 1.396 9.814 -2.126
C 0.653 8.147 -3.292
H -0.228 7.987 -2.664
H 1.076 4.666 -4.061
Si 0.119 1.762 -1.671
C 1.489 2.947 -1.113
C 2.718 3.016 -1.786
H 2.888 2.426 -2.687
C 3.717 3.889 -1.362
H 4.665 3.956 -1.900
C 3.505 4.716 -0.260
H 4.269 5.422 0.070
C 2.302 4.628 0.458
H 2.126 5.267 1.325
C 1.302 3.741 0.034
H 0.363 3.717 0.588
C 0.632 1.129 -3.392
C 1.522 0.053 -3.368
H 1.772 -0.433 -2.427
C 2.108 -0.446 -4.529
H 2.827 -1.257 -4.475
C 1.764 0.102 -5.760
H 2.203 -0.262 -6.678
C 0.803 1.114 -5.823
H 0.477 1.506 -6.791
C 0.253 1.640 -4.647
H -0.466 2.456 -4.687
H -1.293 5.401 -3.839
Cl -1.664 2.849 -1.887
C -0.625 -2.531 -2.689
P -1.241 -1.781 -1.119
C -1.761 -3.240 -0.100
C -2.686 -0.674 -1.403
C -3.234 0.113 -0.194
P -2.041 0.437 1.170
C -2.187 2.090 1.903
C -2.553 -0.742 2.454
H -0.261 -1.776 -3.391
H -1.404 -3.131 -3.195
H 0.219 -3.200 -2.474
H -0.929 -3.608 0.512
H -2.605 -2.955 0.565
H -2.070 -4.096 -0.730
H -2.372 0.042 -2.168
H -3.450 -1.287 -1.898
H -3.568 1.112 -0.528
H -4.119 -0.399 0.233
H -3.020 2.174 2.620
H -1.252 2.291 2.456
H -2.285 2.907 1.167
H -3.621 -0.651 2.673
H -2.351 -1.775 2.168
H -1.993 -0.540 3.369
```

Löwdin analysis output, partial charges in e: -0.165, -0.156, -0.166, 0.127, -0.144, -0.161, 0.122, 0.116, 0.124, 0.126, 0.222, 0.718, -0.344, -0.097, 0.109, -0.083, 0.106, -0.084, 0.104, -0.087, 0.103, -0.138, 0.069, -0.330, -0.097, 0.100, -0.084, 0.105, -0.090, 0.106, -0.093, 0.103, -0.112, 0.095, -0.006, 0.330, -0.340, -0.107, 0.100, -0.075, 0.110, -0.075, 0.108, -0.078, 0.105, -0.131, 0.087, -0.330, -0.170, 0.071, -0.081, 0.107, -0.066, 0.106, -0.079, 0.104, -0.098, 0.083, -0.032, 0.309, -0.214, 0.875, -0.223, -0.394, -0.374, 0.825, -0.233, -0.233, 0.028, 0.064, 0.058, 0.034, 0.042, 0.060, 0.050, 0.094, 0.068, 0.094, 0.062, 0.054, 0.043, 0.063, 0.026, 0.052


Record 2
Density functional theory data (the ωB97M-V functional and the def2-TZVPD basis) for a single C4H3NO2 molecule in a non-equilibrium geometry.

Results
Structure (SMILES): C#CC1=NOCO1
********
Amidst the COVID-19 pandemic, some Calgary renters are worried they won't be able to pay their rent — and some landlords are worried about the same thing.
Landlords know they'll still be on the hook for utilities, taxes and mortgage payments, even if mortgage payments can be temporarily deferred.
Both provincial and federal governments are now scrambling to clarify the issues.
The Alberta legislature held a rare Friday sitting, during which NDP leader Rachel Notley called on the province to ban landlords from evicting tenants who can't pay rent during the COVID-19 pandemic.
"We are definitely hearing from people that they are being threatened — that in the absence of paying their full rent, that they will get eviction notices," Notley told reporters at the legislature on Friday.
Premier Jason Kenney on Wednesday asked Alberta landlords to be compassionate while the coronavirus pandemic and rock bottom oil prices prompted layoffs.
During question period Friday, Kenney said he's heard some rental management companies are promising no evictions for unpaid rent for the month of April.
Landlord concerns
Gerry Baxter, executive director of the Calgary Residential Rental Association, said Calgary landlords are taking calls from tenants who believe they don't have to pay their rent following the flurry of federal and provincial support programs announced earlier this week.
"Many landlords have called us, and the questions are not so much, 'I can't pay rent,' [but] … 'I'm told that I don't have to pay rent,'" Baxter said. "I think [this] was based on a misunderstanding of what's come out in the media and through the premier's conference yesterday. Many tenants seem to think that they can live rent free."
Baxter said the federal government may have announced mortgage payment deferrals for homeowners — the logistics of which are still murky — but there's nothing similar for renters.
Some homeowners report they are facing delays, confusion and outright denials from the country's big banks when they attempt to defer their mortgages.
And renters are just as concerned.
Renter concerns
Rochelle Satimbre, who is renting a basement suite in northeast Calgary, has a question for her landlord.
"Are they gonna let us not pay for this month and next month?" she asked.
The shoe store where Satimbre works just closed, throwing her out of work. The future of her fiancé's construction job is uncertain — and so, too, is their ability to pay the $700 rent.
"I don't have an income. I had already my last EI payment, and then I didn't get my third payment for a while because it's close, right? So I don't know how to pay the rent," she said. "I mean, we're just going to wait for a GST or my EI income and then, he would apply for EI too. That's the only income we're going to have."
Satimbre plans to talk to her landlord soon about a payment plan, and that's just what Baxter recommends — communication.
"The important thing is for those tenants to go and talk to their landlord, go and talk to them now if it looks like you're not going to be able to pay your rent," he said, adding that a payment plan is one good option.
Baxter said future plans need to be cooperative between landlords and tenants.
"The reality is we do have to pay the bills. Tenants have to pay the rent. So if they can't do it, then they need to be looking at what forms of assistance are currently available to them," he said.
### Someone pasted calculated molecules at this point
<<<
{
  "formula": "C42H49CrN5Sb",
  "method": "wB97M-V/def2-TZVPD",
  "species": ["Cr", "C", "C", "N", "C", "C", "N", "C", "C", "N", "C", "C", "N", "C", "C", "C", "C", "C", "C", "C", "N", "H", "H", "H", "H", "H", "H", "H", "H", "H", "H", "H", "H", "H", "H", "H", "H", "H", "H", "H", "H", "H", "H", "H", "C", "C", "C", "C", "C", "C", "H", "H", "H", "H", "H", "C", "C", "C", "C", "C", "C", "C", "Sb", "C", "C", "C", "C", "C", "C", "C", "C", "C", "C", "C", "C", "C", "C", "H", "H", "H", "H", "H", "H", "H", "H", "H", "H", "H", "H", "H", "H", "H", "H", "H", "H", "H", "H", "H"],
>>>
Looking ahead
The federal government has announced that they've waived the waiting period for EI and all levels of government are working on further assistance.
Watch below: NDP Leader Rachel Notley and Premier Jason Kenney discuss potential rules to protect renters during the COVID-19 pandemic
On Friday, the Alberta government worked on changes to clear up confusion when both municipalities and the province declare states of emergency.
"I'm encouraging landlords to be empathetic, be compassionate and be flexible. Do what you can to work with your tenants to help them out," Baxter said. "We can ensure that tenants can live in safe, healthy homes.
"Landlords I've talked to today tell me they certainly don't want to take any steps to have to evict tenants. They would prefer to work with them."
Baxter said recent announcements from the federal and provincial governments will help.
"I think it's really important that tenants take advantage of what services are available to help them," he said, adding he would also like to see the provincial government consider temporary rent subsidies for tenants.
Deferred payments
The idea of deferred payments on either side is a concern, Baxter said.
"Well, mortgage payments I guess can be deferred, but the issue is that when they defer the interest, it's still going to be payable. So landlords are still going to pay the interest on it. So the difficulty is that there's additional costs to the landlords," he said, adding deferred utilities are the same thing.
"Landlords are still paying all the utilities, in many cases — they haven't dropped. And I know there will be a waiver, the city says, but it's not a waiver, it's simply deferring. So it means they're going to have to be paid at some time. So all we're doing is just delaying the inevitable," he said.
When it comes to deferred rent, Baxter is adamant.
"It is one of the most harmful things that you could do to a tenant," he said.
Baxter said problems could arise if rent is $1,000 one month, then $2,000 next month and $3,000 the month after.
"How do tenants ever get out of that hole? … The financial implications it has for tenants trying to recover from something like this, the additional stress it puts on them, it's just incredible."
Ontario, Quebec, Nova Scotia and British Columbia have all taken measures to prevent some or all landlords from evicting tenants affected by the spread of COVID-19.
"Landlords will still need the ability to remove irresponsible tenants who might be engaged in criminal activity, vandalism, grow ops — things of that nature," Kenney said in question period. "So we do have to be careful about how we approach this."
With files from Bryan Labby and Janet French